-- Source --
-- begin --
[1]
Density functional theory data (ωB97M-V/def2-TZVPD) for 2 unconnected molecules or ions with the total composition C38H57N2O4.

```
101
C38H57N2O4, DFT ωB97M-V/def2-TZVPD
C -2.010 0.790 1.853
C -2.721 -0.686 2.050
C -1.562 -1.739 2.536
C -1.965 -3.288 2.050
C -1.312 -3.460 0.548
C -1.786 -4.808 -0.255
C -0.722 -5.367 -1.370
C 0.295 -4.240 -1.989
C 0.428 -4.596 -3.618
C 2.015 -4.451 -4.018
C 2.459 -2.925 -4.475
C 1.440 -1.877 -5.225
C 1.955 -0.363 -5.708
O 0.979 0.480 -6.414
C 3.482 0.168 -5.448
C 4.127 1.598 -5.907
C 3.088 2.862 -5.959
C 3.989 4.164 -6.499
C 4.688 4.960 -5.244
C 5.965 5.877 -5.775
N 6.805 6.177 -4.517
C 4.505 -0.892 -4.662
C 4.003 -2.412 -4.178
C 5.137 -3.381 -3.425
O 5.301 -4.685 -3.685
C 6.112 -2.569 -2.335
C 6.509 -3.231 -0.878
C 7.434 -2.343 0.163
C 7.941 -0.833 -0.312
C 7.540 -0.169 -1.790
C 6.612 -1.048 -2.819
C 6.095 -0.506 -4.314
O 6.907 0.140 -5.164
H -1.286 0.931 2.780
H -2.841 1.625 1.857
H -1.393 0.759 0.857
H -3.207 -1.089 1.042
H -3.559 -0.648 2.895
H -1.408 -1.801 3.702
H -0.561 -1.442 1.973
H -3.143 -3.346 1.955
H -1.515 -4.067 2.798
H -1.705 -2.532 -0.085
H -0.148 -3.324 0.645
H -2.828 -4.714 -0.789
H -1.904 -5.669 0.560
H -0.114 -6.259 -0.918
H -1.378 -5.815 -2.259
H 1.364 -4.400 -1.535
H -0.092 -3.136 -1.940
H 0.106 -5.710 -3.852
H -0.298 -3.902 -4.218
H 2.741 -4.894 -3.201
H 2.172 -5.130 -4.987
H 0.328 -2.174 -5.439
H 0.083 0.020 -6.235
H 5.001 1.920 -5.161
H 4.631 1.516 -6.973
H 2.614 3.158 -4.920
H 2.237 2.736 -6.787
H 3.326 4.864 -7.199
H 4.820 3.714 -7.229
H 5.062 4.132 -4.478
H 3.872 5.666 -4.781
H 5.587 6.860 -6.308
H 6.639 5.318 -6.571
H 6.943 5.246 -4.042
H 6.188 6.792 -3.911
H 6.123 -4.307 -0.553
H 7.740 -2.763 1.236
H 8.604 -0.212 0.437
H 7.926 0.902 -2.070
C -5.488 0.796 8.054
C -4.794 1.630 6.940
C -5.044 3.142 7.187
C -6.464 3.585 6.844
C -6.843 3.164 5.428
C -6.624 1.652 5.157
N -5.270 1.173 5.593
O -4.337 1.620 4.639
C -7.730 0.826 5.868
C -6.902 1.383 3.640
C -3.272 1.347 7.172
H -5.600 -0.252 7.754
H -4.902 0.796 8.982
H -6.467 1.184 8.339
H -4.343 3.740 6.589
H -4.837 3.393 8.236
H -7.179 3.178 7.566
H -6.535 4.677 6.929
H -7.891 3.433 5.245
H -6.249 3.759 4.721
H -7.530 -0.249 5.792
H -8.711 1.004 5.410
H -7.859 1.076 6.920
H -6.269 1.988 2.981
H -7.937 1.634 3.379
H -6.747 0.326 3.391
H -3.038 0.287 7.009
H -2.976 1.595 8.199
H -2.625 1.945 6.521
```

Its HOMO-LUMO gap is 1.3 eV. The calculation puts the HOMO energy at -9.43 eV. As for the total energy: -1891.30721 hartree. As for the net charge: +1.

[2]
Density functional theory data (ωB97M-V/def2-TZVPD) for a molecular structure, C38H58IrN4O3P3STe.

```
109
C38H58IrN4O3P3STe, DFT ωB97M-V/def2-TZVPD
Ir -0.222 -1.486 -0.563
C -1.824 2.732 -6.042
O -2.586 1.562 -6.246
C -2.364 0.501 -5.446
C -3.202 -0.616 -5.655
C -3.075 -1.717 -4.862
C -2.151 -1.779 -3.801
C -2.085 -2.939 -2.959
C -2.596 -4.257 -3.498
O -1.623 -2.947 -1.805
C -1.286 -0.657 -3.587
O -0.365 -0.628 -2.687
C -1.415 0.455 -4.447
H -2.234 3.476 -6.723
H -0.767 2.567 -6.273
H -1.915 3.089 -5.011
H -3.929 -0.577 -6.448
H -3.741 -2.550 -5.016
H -2.693 -4.258 -4.575
H -3.556 -4.495 -3.044
H -1.898 -5.037 -3.201
H -0.727 1.271 -4.276
C -2.232 -2.719 2.525
P -1.037 -3.129 1.190
C -1.612 -4.843 0.826
C 0.515 -3.456 2.104
C 0.508 -3.711 3.470
C 1.690 -3.868 4.172
C 2.898 -3.788 3.502
C 2.919 -3.559 2.137
C 1.738 -3.387 1.424
P 1.753 -2.951 -0.352
C 1.678 -4.565 -1.227
C 3.497 -2.493 -0.663
H -2.418 -3.591 3.151
H -3.172 -2.424 2.059
H -1.862 -1.894 3.129
H -1.277 -5.502 1.626
H -1.224 -5.188 -0.127
H -2.698 -4.834 0.779
H -0.427 -3.770 4.003
H 1.667 -4.032 5.239
H 3.826 -3.890 4.043
H 3.871 -3.505 1.634
H 2.389 -5.265 -0.790
H 1.919 -4.398 -2.276
H 0.676 -4.976 -1.169
H 4.168 -3.345 -0.550
H 3.790 -1.691 0.013
H 3.565 -2.126 -1.687
Te 1.994 0.489 -2.327
C 3.963 1.219 -2.371
C 5.142 0.552 -2.136
C 6.288 1.347 -2.293
C 5.990 2.627 -2.660
S 4.303 2.865 -2.824
H 5.185 -0.484 -1.847
H 7.290 0.988 -2.134
H 6.667 3.439 -2.840
N 0.391 0.180 0.423
P -0.274 1.316 1.270
-- stop --

-- Job --
Give back all of the lines earlier on word for word.

-- Done --
[1]
Density functional theory data (ωB97M-V/def2-TZVPD) for 2 unconnected molecules or ions with the total composition C38H57N2O4.

```
101
C38H57N2O4, DFT ωB97M-V/def2-TZVPD
C -2.010 0.790 1.853
C -2.721 -0.686 2.050
C -1.562 -1.739 2.536
C -1.965 -3.288 2.050
C -1.312 -3.460 0.548
C -1.786 -4.808 -0.255
C -0.722 -5.367 -1.370
C 0.295 -4.240 -1.989
C 0.428 -4.596 -3.618
C 2.015 -4.451 -4.018
C 2.459 -2.925 -4.475
C 1.440 -1.877 -5.225
C 1.955 -0.363 -5.708
O 0.979 0.480 -6.414
C 3.482 0.168 -5.448
C 4.127 1.598 -5.907
C 3.088 2.862 -5.959
C 3.989 4.164 -6.499
C 4.688 4.960 -5.244
C 5.965 5.877 -5.775
N 6.805 6.177 -4.517
C 4.505 -0.892 -4.662
C 4.003 -2.412 -4.178
C 5.137 -3.381 -3.425
O 5.301 -4.685 -3.685
C 6.112 -2.569 -2.335
C 6.509 -3.231 -0.878
C 7.434 -2.343 0.163
C 7.941 -0.833 -0.312
C 7.540 -0.169 -1.790
C 6.612 -1.048 -2.819
C 6.095 -0.506 -4.314
O 6.907 0.140 -5.164
H -1.286 0.931 2.780
H -2.841 1.625 1.857
H -1.393 0.759 0.857
H -3.207 -1.089 1.042
H -3.559 -0.648 2.895
H -1.408 -1.801 3.702
H -0.561 -1.442 1.973
H -3.143 -3.346 1.955
H -1.515 -4.067 2.798
H -1.705 -2.532 -0.085
H -0.148 -3.324 0.645
H -2.828 -4.714 -0.789
H -1.904 -5.669 0.560
H -0.114 -6.259 -0.918
H -1.378 -5.815 -2.259
H 1.364 -4.400 -1.535
H -0.092 -3.136 -1.940
H 0.106 -5.710 -3.852
H -0.298 -3.902 -4.218
H 2.741 -4.894 -3.201
H 2.172 -5.130 -4.987
H 0.328 -2.174 -5.439
H 0.083 0.020 -6.235
H 5.001 1.920 -5.161
H 4.631 1.516 -6.973
H 2.614 3.158 -4.920
H 2.237 2.736 -6.787
H 3.326 4.864 -7.199
H 4.820 3.714 -7.229
H 5.062 4.132 -4.478
H 3.872 5.666 -4.781
H 5.587 6.860 -6.308
H 6.639 5.318 -6.571
H 6.943 5.246 -4.042
H 6.188 6.792 -3.911
H 6.123 -4.307 -0.553
H 7.740 -2.763 1.236
H 8.604 -0.212 0.437
H 7.926 0.902 -2.070
C -5.488 0.796 8.054
C -4.794 1.630 6.940
C -5.044 3.142 7.187
C -6.464 3.585 6.844
C -6.843 3.164 5.428
C -6.624 1.652 5.157
N -5.270 1.173 5.593
O -4.337 1.620 4.639
C -7.730 0.826 5.868
C -6.902 1.383 3.640
C -3.272 1.347 7.172
H -5.600 -0.252 7.754
H -4.902 0.796 8.982
H -6.467 1.184 8.339
H -4.343 3.740 6.589
H -4.837 3.393 8.236
H -7.179 3.178 7.566
H -6.535 4.677 6.929
H -7.891 3.433 5.245
H -6.249 3.759 4.721
H -7.530 -0.249 5.792
H -8.711 1.004 5.410
H -7.859 1.076 6.920
H -6.269 1.988 2.981
H -7.937 1.634 3.379
H -6.747 0.326 3.391
H -3.038 0.287 7.009
H -2.976 1.595 8.199
H -2.625 1.945 6.521
```

Its HOMO-LUMO gap is 1.3 eV. The calculation puts the HOMO energy at -9.43 eV. As for the total energy: -1891.30721 hartree. As for the net charge: +1.

[2]
Density functional theory data (ωB97M-V/def2-TZVPD) for a molecular structure, C38H58IrN4O3P3STe.

```
109
C38H58IrN4O3P3STe, DFT ωB97M-V/def2-TZVPD
Ir -0.222 -1.486 -0.563
C -1.824 2.732 -6.042
O -2.586 1.562 -6.246
C -2.364 0.501 -5.446
C -3.202 -0.616 -5.655
C -3.075 -1.717 -4.862
C -2.151 -1.779 -3.801
C -2.085 -2.939 -2.959
C -2.596 -4.257 -3.498
O -1.623 -2.947 -1.805
C -1.286 -0.657 -3.587
O -0.365 -0.628 -2.687
C -1.415 0.455 -4.447
H -2.234 3.476 -6.723
H -0.767 2.567 -6.273
H -1.915 3.089 -5.011
H -3.929 -0.577 -6.448
H -3.741 -2.550 -5.016
H -2.693 -4.258 -4.575
H -3.556 -4.495 -3.044
H -1.898 -5.037 -3.201
H -0.727 1.271 -4.276
C -2.232 -2.719 2.525
P -1.037 -3.129 1.190
C -1.612 -4.843 0.826
C 0.515 -3.456 2.104
C 0.508 -3.711 3.470
C 1.690 -3.868 4.172
C 2.898 -3.788 3.502
C 2.919 -3.559 2.137
C 1.738 -3.387 1.424
P 1.753 -2.951 -0.352
C 1.678 -4.565 -1.227
C 3.497 -2.493 -0.663
H -2.418 -3.591 3.151
H -3.172 -2.424 2.059
H -1.862 -1.894 3.129
H -1.277 -5.502 1.626
H -1.224 -5.188 -0.127
H -2.698 -4.834 0.779
H -0.427 -3.770 4.003
H 1.667 -4.032 5.239
H 3.826 -3.890 4.043
H 3.871 -3.505 1.634
H 2.389 -5.265 -0.790
H 1.919 -4.398 -2.276
H 0.676 -4.976 -1.169
H 4.168 -3.345 -0.550
H 3.790 -1.691 0.013
H 3.565 -2.126 -1.687
Te 1.994 0.489 -2.327
C 3.963 1.219 -2.371
C 5.142 0.552 -2.136
C 6.288 1.347 -2.293
C 5.990 2.627 -2.660
S 4.303 2.865 -2.824
H 5.185 -0.484 -1.847
H 7.290 0.988 -2.134
H 6.667 3.439 -2.840
N 0.391 0.180 0.423
P -0.274 1.316 1.270